# Listing
'''
Entry 1:
MgNi4P4S4 | PBE | optimized geometry

Cell and atoms, written as extended XYZ:
```
13
Lattice="5.763 0.000 0.000 0.128 5.788 0.000 0.119 0.126 5.820" Properties=species:S:1:pos:R:3 pbc="T T T"
Mg 0.000 0.000 0.000
Ni 1.780 1.828 4.522
Ni 1.816 4.542 1.711
Ni 4.578 4.555 4.469
Ni 4.540 1.731 1.736
P 1.244 5.206 3.748
P 2.505 2.493 2.455
P 3.815 1.195 5.149
P 5.170 3.769 1.113
S 1.245 1.313 1.292
S 2.407 4.072 5.187
S 4.059 5.218 2.274
S 5.236 2.352 3.992
```

Calculated values
Symmetry ... P1, No. 1
Calculated formation energy ... -4.3 eV per formula unit
Total moment ... 0.00 μB per atom

=====

Entry 2:
Na2LuCuCl6 | PBE | optimized geometry

Cell and atoms, written as extended XYZ:
```
10
Lattice="0.000 5.074 5.074 5.074 0.000 5.074 5.074 5.074 0.000" Properties=species:S:1:pos:R:3 pbc="T T T"
Na 2.537 2.537 2.537
Na 7.612 7.612 7.612
Lu 0.000 0.000 0.000
Cu 5.074 5.074 5.074
Cl 5.074 5.074 2.564
Cl 5.074 2.564 5.074
Cl 7.585 5.074 5.074
Cl 2.564 5.074 5.074
Cl 5.074 7.585 5.074
Cl 5.074 5.074 7.585
```

Calculated values
Symmetry ... Fm-3m, No. 225
Calculated formation energy ... -19.3 eV per formula unit
Total moment ... 0.00 μB per atom

=====

Entry 3:
ThCo2Ni3 | PBE | optimized geometry

Cell and atoms, written as extended XYZ:
```
6
Lattice="2.415 -4.366 0.000 2.415 4.366 0.000 0.000 0.000 4.021" Properties=species:S:1:pos:R:3 pbc="T T T"
Th 0.000 0.000 0.000
Co 1.207 2.183 2.011
Co 1.207 -2.183 2.011
Ni 2.415 1.469 0.000
Ni 2.415 0.000 2.011
Ni 2.415 -1.469 0.000
```

Calculated values
Symmetry ... Cmmm, No. 65
Calculated formation energy ... -1.8 eV per formula unit
Total moment ... 0.50 μB per atom

=====

Entry 4:
Rb2CaH4 | PBE | optimized geometry

Cell and atoms, written as extended XYZ:
```
7
Lattice="-2.257 2.257 7.420 2.257 -2.257 7.420 2.257 2.257 -7.420" Properties=species:S:1:pos:R:3 pbc="T T T"
Rb 0.000 0.000 2.197
Rb 0.000 0.000 12.643
Ca 0.000 0.000 7.420
H 2.257 0.000 0.000
H 0.000 0.000 5.113
H 0.000 2.257 0.000
H 0.000 0.000 9.727
```

Calculated values
Symmetry ... I4/mmm, No. 139
Calculated formation energy ... -2.9 eV per formula unit

=====

Entry 5:
Sr3CaZr16P24O96 | PBE | optimized geometry

Cell and atoms, written as extended XYZ:
```
140
Lattice="4.467 2.579 30.988 -4.467 2.579 30.988 0.000 -5.158 30.988" Properties=species:S:1:pos:R:3 pbc="T T T"
Sr 0.000 0.000 0.000
Sr 0.000 0.000 23.240
Sr 0.000 0.000 69.724
Ca 0.000 0.000 46.482
Zr 0.000 0.000 3.478
Zr 0.000 0.000 8.353
Zr 0.000 0.000 14.886
Zr 0.000 0.000 19.751
Zr 0.000 0.000 26.719
Zr 0.000 0.000 31.594
Zr 0.000 0.000 38.130
Zr 0.000 0.000 43.024
Zr 0.000 0.000 49.940
Zr 0.000 0.000 54.834
Zr 0.000 0.000 61.370
Zr 0.000 0.000 66.245
Zr 0.000 0.000 73.213
Zr 0.000 0.000 78.077
Zr 0.000 0.000 84.610
Zr 0.000 0.000 89.486
P -1.232 -2.258 29.103
P -1.340 -2.962 36.850
P -1.889 -2.507 44.612
P -2.570 -0.063 40.624
P -3.116 0.383 48.352
P -3.235 -0.321 56.114
P -1.230 -2.258 52.340
P -1.340 2.196 29.103
P -1.896 2.641 36.850
P -2.571 -0.062 63.861
P 1.340 -2.194 40.624
P 1.227 -2.890 48.352
P -1.227 2.890 44.611
P -1.340 2.194 52.340
P 2.571 0.062 29.102
P 1.896 -2.641 56.114
P 1.340 -2.196 63.861
P 1.230 2.258 40.624
P 3.235 0.321 36.850
P 3.116 -0.383 44.611
P 2.570 0.063 52.340
P 1.889 2.507 48.352
P 1.340 2.962 56.114
P 1.232 2.258 63.861
O -1.731 -0.035 18.661
O -3.730 1.154 32.998
O -3.886 -0.941 48.230
O -1.132 -3.860 38.080
O -2.785 -2.252 45.832
O -0.866 -1.351 21.227
O -0.875 -3.679 35.563
O -3.909 -0.949 54.883
O -1.603 0.074 25.251
O -1.128 -3.836 44.733
O -0.843 -1.497 27.816
O -2.762 -2.256 52.482
O -1.704 -0.323 32.734
O -3.624 -1.082 57.401
O -3.335 1.264 40.482
O -2.864 -2.653 59.966
O -0.558 -1.630 30.333
O 0.896 -1.482 18.661
O 0.865 -3.807 32.998
O -1.691 -0.332 39.391
O -3.343 1.285 47.132
O -0.572 -1.637 36.989
O -0.736 1.426 21.227
O -2.749 2.597 35.563
O -1.713 -0.018 41.913
O 0.737 -1.425 25.251
O 0.572 -3.520 40.482
O -1.132 1.298 30.333
O -2.777 2.911 38.080
O -0.859 -1.331 44.531
O -0.875 1.479 27.816
'''

# Work order
Could you copy the whole of the material further above verbatim?

# Reply
Entry 1:
MgNi4P4S4 | PBE | optimized geometry

Cell and atoms, written as extended XYZ:
```
13
Lattice="5.763 0.000 0.000 0.128 5.788 0.000 0.119 0.126 5.820" Properties=species:S:1:pos:R:3 pbc="T T T"
Mg 0.000 0.000 0.000
Ni 1.780 1.828 4.522
Ni 1.816 4.542 1.711
Ni 4.578 4.555 4.469
Ni 4.540 1.731 1.736
P 1.244 5.206 3.748
P 2.505 2.493 2.455
P 3.815 1.195 5.149
P 5.170 3.769 1.113
S 1.245 1.313 1.292
S 2.407 4.072 5.187
S 4.059 5.218 2.274
S 5.236 2.352 3.992
```

Calculated values
Symmetry ... P1, No. 1
Calculated formation energy ... -4.3 eV per formula unit
Total moment ... 0.00 μB per atom

=====

Entry 2:
Na2LuCuCl6 | PBE | optimized geometry

Cell and atoms, written as extended XYZ:
```
10
Lattice="0.000 5.074 5.074 5.074 0.000 5.074 5.074 5.074 0.000" Properties=species:S:1:pos:R:3 pbc="T T T"
Na 2.537 2.537 2.537
Na 7.612 7.612 7.612
Lu 0.000 0.000 0.000
Cu 5.074 5.074 5.074
Cl 5.074 5.074 2.564
Cl 5.074 2.564 5.074
Cl 7.585 5.074 5.074
Cl 2.564 5.074 5.074
Cl 5.074 7.585 5.074
Cl 5.074 5.074 7.585
```

Calculated values
Symmetry ... Fm-3m, No. 225
Calculated formation energy ... -19.3 eV per formula unit
Total moment ... 0.00 μB per atom

=====

Entry 3:
ThCo2Ni3 | PBE | optimized geometry

Cell and atoms, written as extended XYZ:
```
6
Lattice="2.415 -4.366 0.000 2.415 4.366 0.000 0.000 0.000 4.021" Properties=species:S:1:pos:R:3 pbc="T T T"
Th 0.000 0.000 0.000
Co 1.207 2.183 2.011
Co 1.207 -2.183 2.011
Ni 2.415 1.469 0.000
Ni 2.415 0.000 2.011
Ni 2.415 -1.469 0.000
```

Calculated values
Symmetry ... Cmmm, No. 65
Calculated formation energy ... -1.8 eV per formula unit
Total moment ... 0.50 μB per atom

=====

Entry 4:
Rb2CaH4 | PBE | optimized geometry

Cell and atoms, written as extended XYZ:
```
7
Lattice="-2.257 2.257 7.420 2.257 -2.257 7.420 2.257 2.257 -7.420" Properties=species:S:1:pos:R:3 pbc="T T T"
Rb 0.000 0.000 2.197
Rb 0.000 0.000 12.643
Ca 0.000 0.000 7.420
H 2.257 0.000 0.000
H 0.000 0.000 5.113
H 0.000 2.257 0.000
H 0.000 0.000 9.727
```

Calculated values
Symmetry ... I4/mmm, No. 139
Calculated formation energy ... -2.9 eV per formula unit

=====

Entry 5:
Sr3CaZr16P24O96 | PBE | optimized geometry

Cell and atoms, written as extended XYZ:
```
140
Lattice="4.467 2.579 30.988 -4.467 2.579 30.988 0.000 -5.158 30.988" Properties=species:S:1:pos:R:3 pbc="T T T"
Sr 0.000 0.000 0.000
Sr 0.000 0.000 23.240
Sr 0.000 0.000 69.724
Ca 0.000 0.000 46.482
Zr 0.000 0.000 3.478
Zr 0.000 0.000 8.353
Zr 0.000 0.000 14.886
Zr 0.000 0.000 19.751
Zr 0.000 0.000 26.719
Zr 0.000 0.000 31.594
Zr 0.000 0.000 38.130
Zr 0.000 0.000 43.024
Zr 0.000 0.000 49.940
Zr 0.000 0.000 54.834
Zr 0.000 0.000 61.370
Zr 0.000 0.000 66.245
Zr 0.000 0.000 73.213
Zr 0.000 0.000 78.077
Zr 0.000 0.000 84.610
Zr 0.000 0.000 89.486
P -1.232 -2.258 29.103
P -1.340 -2.962 36.850
P -1.889 -2.507 44.612
P -2.570 -0.063 40.624
P -3.116 0.383 48.352
P -3.235 -0.321 56.114
P -1.230 -2.258 52.340
P -1.340 2.196 29.103
P -1.896 2.641 36.850
P -2.571 -0.062 63.861
P 1.340 -2.194 40.624
P 1.227 -2.890 48.352
P -1.227 2.890 44.611
P -1.340 2.194 52.340
P 2.571 0.062 29.102
P 1.896 -2.641 56.114
P 1.340 -2.196 63.861
P 1.230 2.258 40.624
P 3.235 0.321 36.850
P 3.116 -0.383 44.611
P 2.570 0.063 52.340
P 1.889 2.507 48.352
P 1.340 2.962 56.114
P 1.232 2.258 63.861
O -1.731 -0.035 18.661
O -3.730 1.154 32.998
O -3.886 -0.941 48.230
O -1.132 -3.860 38.080
O -2.785 -2.252 45.832
O -0.866 -1.351 21.227
O -0.875 -3.679 35.563
O -3.909 -0.949 54.883
O -1.603 0.074 25.251
O -1.128 -3.836 44.733
O -0.843 -1.497 27.816
O -2.762 -2.256 52.482
O -1.704 -0.323 32.734
O -3.624 -1.082 57.401
O -3.335 1.264 40.482
O -2.864 -2.653 59.966
O -0.558 -1.630 30.333
O 0.896 -1.482 18.661
O 0.865 -3.807 32.998
O -1.691 -0.332 39.391
O -3.343 1.285 47.132
O -0.572 -1.637 36.989
O -0.736 1.426 21.227
O -2.749 2.597 35.563
O -1.713 -0.018 41.913
O 0.737 -1.425 25.251
O 0.572 -3.520 40.482
O -1.132 1.298 30.333
O -2.777 2.911 38.080
O -0.859 -1.331 44.531
O -0.875 1.479 27.816